Wednesday, December 4, 2013

England under duress

Thanks to How I Live Now, which I saw Monday, I am aware of a new subgenre of movies:

"England Under Duress" movies.

Movies set in a post-apocalyptic Britain have a certain feel to them, don't they? A certain look of popping grubbiness. Together they form a loose fraternity of thematic compatriots.

How I Live Now is just the most recent, though as soon as I became aware of this subgenre, two others immediately popped into my mind: Children of Men and 28 Days Later. Never Let Me Go is in similar territory, by being in a dystopian future set in the past.

I like EUD movies. I like them a lot. In fact, if the examples I've come up with mean anything, I am very favorably predisposed toward anything that even gives off a whiff of this kind of movie.

How I Live Now is the adaptation of a YA novel about an American girl (the brilliant British teenage actress Saoirse Ronan) who is shipped to England just in time to become embroiled in a 21st century World War III, although one that doesn't have quite the catastrophic toll we've come to expect from movies that dramatize World War III. The toll is pretty traumatizing for a teen readership, though, I must say. The movie "goes there" from time to time. It's unafraid to tear our hearts out on occasion.

And England sure does look good as a fallen society.

I suspect it is mostly in the cinematography, but there's also something about England itself that makes it a good setting for this type of movie -- other than just being home to one of the world's top film industries. I suspect the country has that permanently moist look of just having been rained upon, and rain is pretty much the predominant mode of post apocalypse. That said, I don't believe it rains once in How I Live Now, so it's not quite as simple as that, either.

Between two parts of the page: quantum chemistry results:
____________
{"formula": "C45H82N19O16", "method": "wB97M-V/def2-TZVPD", "gap_ev": 7.391, "lumo_energy_ev": -2.12, "charge": 1, "energy_ev": -109063.513, "homo_energy_ev": -9.5, "symbols": ["C", "C", "C", "N", "C", "C", "C", "C", "C", "C", "H", "H", "H", "H", "H", "H", "H", "H", "H", "H", "H", "H", "H", "H", "H", "H", "H", "H", "H", "H", "C", "O", "N", "N", "H", "H", "H", "H", "C", "O", "N", "N", "H", "H", "H", "H", "C", "O", "N", "N", "H", "H", "H", "H", "C", "O", "N", "N", "H", "H", "H", "H", "C", "O", "N", "N", "H", "H", "H", "H", "C", "O", "N", "N", "H", "H", "H", "H", "C", "O", "N", "N", "H", "H", "H", "H", "C", "O", "N", "N", "H", "H", "H", "H", "C", "C", "C", "C", "C", "C", "O", "O", "H", "H", "H", "H", "H", "H", "C", "C", "C", "C", "C", "C", "O", "O", "H", "H", "H", "H", "H", "H", "C", "C", "C", "C", "C", "C", "O", "O", "H", "H", "H", "H", "H", "H", "C", "C", "C", "C", "C", "C", "O", "O", "H", "H", "H", "H", "H", "H", "C", "C", "N", "H", "H", "H", "C", "C", "N", "H", "H", "H"], "coordinates": [[-0.721, 3.466, -2.116], [-0.934, 2.550, -0.872], [-0.443, 1.074, -1.066], [-0.503, 0.149, 0.231], [0.381, -1.078, -0.180], [0.680, -1.963, 1.052], [1.655, -1.335, 2.036], [0.785, -0.219, 2.544], [0.275, 0.751, 1.395], [-1.910, -0.310, 0.693], [0.306, 3.411, -2.478], [-0.719, 4.508, -1.799], [-1.370, 3.288, -2.974], [-1.978, 2.389, -0.603], [-0.362, 3.010, -0.067], [0.620, 1.174, -1.284], [-0.910, 0.466, -1.840], [1.217, -0.536, -0.622], [-0.155, -1.716, -0.883], [1.238, -2.819, 0.672], [-0.187, -2.441, 1.509], [2.567, -1.019, 1.530], [1.777, -2.015, 2.880], [1.363, 0.273, 3.325], [-0.061, -0.621, 3.102], [1.152, 1.112, 0.857], [-0.286, 1.615, 1.752], [-1.901, -1.041, 1.502], [-2.555, -0.622, -0.128], [-2.377, 0.634, 0.975], [-6.136, -0.940, 2.208], [-6.360, -1.438, 3.335], [-5.217, -0.123, 1.873], [-6.934, -1.243, 1.225], [-4.515, 0.173, 2.535], [-5.202, 0.139, 0.897], [-7.745, -1.801, 1.452], [-6.757, -0.716, 0.382], [1.521, 0.217, 6.561], [2.134, -0.861, 6.772], [0.311, 0.287, 6.114], [1.994, 1.416, 6.441], [-0.331, -0.490, 6.186], [-0.043, 1.136, 5.697], [1.583, 2.220, 5.989], [2.967, 1.517, 6.692], [0.245, -3.380, 4.842], [-0.559, -2.921, 5.566], [1.498, -3.597, 5.056], [-0.064, -3.879, 3.662], [2.127, -4.059, 4.415], [1.908, -3.260, 5.915], [0.683, -4.436, 3.271], [-1.030, -3.876, 3.367], [-3.449, -3.444, 2.814], [-2.505, -3.934, 2.262], [-3.303, -2.322, 3.487], [-4.690, -3.770, 2.815], [-2.343, -2.044, 3.632], [-4.086, -1.997, 4.036], [-5.247, -3.050, 3.252], [-4.991, -4.543, 2.239], [-3.602, 3.778, 1.238], [-3.699, 4.819, 0.574], [-4.372, 2.778, 1.159], [-2.560, 3.525, 2.021], [-4.431, 2.130, 1.932], [-5.005, 2.721, 0.374], [-2.695, 2.713, 2.607], [-1.902, 4.258, 2.244], [-3.234, 6.869, -2.723], [-3.538, 6.541, -1.614], [-4.181, 6.879, -3.639], [-2.039, 7.098, -3.242], [-3.851, 7.257, -4.517], [-5.116, 6.581, -3.401], [-1.953, 7.343, -4.218], [-1.242, 6.990, -2.631], [1.823, 6.357, -0.344], [2.303, 5.317, -0.746], [1.011, 7.132, -0.999], [2.248, 7.002, 0.732], [0.898, 7.027, -1.997], [0.665, 8.005, -0.628], [1.936, 7.930, 0.978], [2.996, 6.667, 1.323], [3.426, 2.328, -1.254], [3.893, 1.196, -1.448], [2.877, 3.026, -2.203], [3.610, 2.945, -0.090], [2.821, 4.005, -1.959], [3.135, 2.589, -3.076], [4.202, 2.485, 0.587], [3.210, 3.871, -0.045], [-0.017, -5.748, 0.538], [0.958, -6.704, 0.312], [1.330, -6.984, -0.993], [0.756, -6.343, -2.077], [-0.256, -5.392, -1.837], [-0.642, -5.120, -0.513], [-1.643, -4.220, -0.341], [2.284, -7.948, -1.253], [-0.332, -5.673, 1.568], [1.240, -7.298, 1.169], [0.984, -6.672, -3.080], [-0.654, -4.780, -2.633], [-2.004, -4.166, 0.546], [2.369, -8.484, -0.461], [-3.320, 0.367, -3.606], [-4.140, 1.014, -2.673], [-4.829, 0.266, -1.752], [-4.669, -1.132, -1.717], [-3.693, -1.700, -2.510], [-3.059, -1.025, -3.545], [-2.169, -1.690, -4.331], [-5.770, 0.821, -0.937], [-2.859, 0.828, -4.467], [-4.352, 2.064, -2.806], [-5.275, -1.610, -0.961], [-3.556, -2.755, -2.324], [-2.678, -2.408, -4.715], [-5.761, 1.765, -1.112], [7.364, -3.432, 1.211], [7.741, -2.123, 0.957], [6.808, -1.108, 0.688], [5.447, -1.524, 0.454], [5.080, -2.874, 0.482], [6.035, -3.839, 0.900], [5.679, -5.203, 0.939], [7.124, 0.159, 0.579], [8.038, -4.232, 1.482], [8.761, -1.778, 1.037], [4.631, -0.898, 0.127], [4.100, -3.195, 0.161], [5.247, -5.465, 0.123], [7.870, 0.212, -0.023], [3.327, -2.035, -3.232], [2.375, -1.068, -3.324], [1.246, -1.189, -4.177], [1.066, -2.498, -4.729], [1.895, -3.572, -4.421], [3.093, -3.347, -3.754], [4.014, -4.362, -3.661], [0.317, -0.141, -4.285], [4.265, -1.783, -2.762], [2.568, -0.113, -2.858], [0.212, -2.767, -5.333], [1.582, -4.547, -4.766], [4.880, -4.200, -3.280], [-0.595, -0.442, -4.294], [1.241, 4.705, 2.736], [0.584, 3.613, 3.583], [0.174, 2.760, 4.299], [1.154, 4.435, 1.684], [2.288, 4.790, 3.028], [0.682, 5.628, 2.891], [0.509, 2.495, -6.013], [1.847, 2.381, -5.526], [2.967, 2.326, -5.268], [0.509, 3.390, -6.636], [-0.157, 2.676, -5.169], [0.042, 1.621, -6.469]], "forces_ev_per_a": [[0.651, -0.286, 0.475], [-0.234, -1.429, -0.831], [0.417, 0.688, 1.317], [-0.029, -1.653, -0.117], [-1.065, -0.001, 1.403], [1.973, -1.117, -1.644], [-2.502, -0.050, -0.190], [-0.092, 1.431, 0.121], [0.769, 0.012, 0.108], [0.515, 1.796, -0.908], [0.177, -0.674, -0.016], [-0.853, 0.037, 0.051], [-0.261, 0.044, 0.286], [-0.216, 0.998, 0.144], [-0.246, -0.192, 0.197], [0.090, -0.477, -0.068], [-0.217, 0.343, -0.016], [0.423, -0.898, 0.015], [-0.104, 0.484, -0.362], [-0.268, -0.343, -0.671], [-0.173, 0.496, 0.053], [0.091, -0.022, 0.303], [0.662, 0.003, -0.204], [-0.291, 1.079, -0.226], [-0.160, -0.230, -0.112], [0.291, 0.340, 0.290], [-0.047, -0.184, 0.161], [0.344, 0.174, -0.222], [0.632, -0.493, -0.305], [-0.069, -0.011, 0.611], [-2.943, -3.013, 4.024], [1.219, 0.506, -0.111], [3.915, 3.102, -0.616], [-1.498, -0.644, -2.427], [-0.157, -0.349, -0.269], [0.603, 0.477, 0.286], [0.084, 0.282, -0.488], [-1.172, -0.500, -0.281], [1.263, -4.182, -1.166], [-0.548, 2.016, 0.727], [-5.701, -1.391, -1.085]
____________

I think I'm trying to fumble my way to a more significant point when there may not be one waiting for me, but I'll carry on for a few more paragraphs anyway. The roots of this may go back a couple decades at least, to movies like A Clockwork Orange and Sid and Nancy, which are obviously both informed by the punk rock movement. Neither of those films is explicitly post-apocalyptic, but there is an apocalyptic mentality at work in both -- a sense that the world even as it is constructed in our lives today is on the verge of apocalypse.

I think England also has the advantage of its grim determination in making the bleakness more, I don't know, quotidian. Children of Men specifically addresses the notion of England soldiering on while the rest of the world goes to pieces. So maybe England is where one can find a functional post-apocalyptic environment, like the one seen in Children. It's the everyday, lived-in quality of a society in ruins that distinguishes these England Under Duress movies.

I'm sure there are other examples of this phenomenon, but as it is almost midnight and I started writing this post yesterday morning, I think I will leave off for now.


  1. It DOES rain in How I Live Now - but its mostly shot in closeups to show the rain washing nuclear ash off of the trees.

    But I love this England Under Duress concept. I wonder if its based in part on the fact that we've seen so many England survives or suffers through WWII movies that its easy to imagine what a post apocalyptic England would look like - because we've seen Brits surviving before so and because setting aside certain obvious post-WW developments, England's architecture largely looks the same now as it did in WW II, and therefore would conceivably look the same in the future as it did in WW II.

  2. Those are great observations. It's true that England is the only English-speaking country that has had a fair amount of war on its soil in the last century, so we have certainly been exposed to this many times on film. I think the fact that England has buildings that are a thousand years old also adds to the notion of it soldiering on through thick and thin.
